AKM Asaduzzaman Patwary
Additional Secretary(R&D), DCCI.
Bangladesh has severe primary energy shortage and the shortage is on the rise due to cumulative demand of all sectoral needs. The current day shortage is around 700MMCFD against the 3600 MMCFD demand and supply of 2900MMCFD gas. The Gas Sector Master Plan(GSMP) of Bangladesh by Rambol projected incremental growth in all sectors of gas use in Bangladesh. The industry is the economic lifeline and currently 16.52% of Natural gas is consumed in industry. Accordingly, 750 MMCFD gas is supplied for industrial usage. With the growth consideration, industrial gas consumption may rise to 850 MMCFD in FY2019-20. Alongside, Gas demand is also rocketing in Industrial consumption, domestic, power generation, Transport and Captive power sectors.
Local energy sector has been facing a serious supply crisis almost over 6 to 7 years due to many crippling reasons and Government also positively struggled to improve the sourcing state locally. But, local supply state has not improved due to low upstream production in both on and off shore gas blocs.
Bangladesh Government has, finding no other choice, planned to import expensive LNG from Qatar and Oman. Amidst of huge discussion and debate, Petrobangla made 15 year-long deal to import LNG and set up a floating terminal FSRU at Moheshkhali and 300 MMCFD LNG has been supplied at Chittagong region. But, this import is still insignificant relative to need of natural gas. Meanwhile, Government has fixed the blended natural gas price for local users. Since there has not been remarkable progress in local exploration despite Government plan to work over and repair 108 wells, Government prioritized again gas import from other countries and planned to have some local land based LNG regasification units.
Our locally sourced 40% natural gas is diminishing and 60% IOC share backed by Chevron and Tullow will not sustain due to extreme demand. To meet the growing demand, the amount of LNG import needs to be doubled though it was planned 1000 MMCFD. In 2019, Petrobangla again planned to add another 300MMCFD with current supply to compensate the demand with 400MMCFD shortage. In spite of this, local domestic and industrial and CNG gas connection remained stagnant for last couple of years. And, every time, new gas supply requires local tariff adjustment which creates commotion among all stakeholders. An USA based company Excelerate Bangladesh has been contracted and appointed to work as a storage and Regasification Terminal. Currently, there are 2 production and 1 exploration companies working in primary energy sector in Bangladesh. The geological survey, seismic survey, exploration, production and drilling work in potential gas hub have not progressed well which caused further gas supply uncertainty.
Against this backdrop, for improvement of supply under this condition, Government feels that Private sector power producers and industry owners running captive power may be allowed to import LNG to ease the gas supply shortage.
Private sector of Bangladesh has good precedent of Power generation to ease the power crisis state and their contribution to power generation capacity as well as captive power to ensure uninterrupted power supply in industrial units. With this proven experience, Private sector may be entrusted with the opportunity to be engaged in LNG import and distribution work to meet their own demand and supply the surplus to the government backed national grid.
LNG has been made available for mass use to a limited scale but gas secuirty remains as a far cry. LNG blend with local gas has rather raised another concern and upheaval as local tariff has substantially gone up meanwhile to commensurate the Government expenditure.
However, apparently this initiative of drafting a policy for Private sector LNG import policy 2019 is a timely move considering the ever changing economic context of Bangladesh. In the proposed Private sector LNG policy, there are some issues, features which seem inappropriate and require further revision to make policy holistic, pro private sector enabling energy security in near future. The relevant sections with critical concerns and thoughts are as follows:
- The point a section 4 of the policy states the pre-qualification of private importer is financial strength of the importing company and eligibility will be determined based on the financial strength as and when fixed by the Government. In this point, the financial solvency and limit of liquidity need to be pre-defined and indicated minimum time length for this policy at least 5 to 10 years to facilitate the private sector.
- Section 5 of LNG supply transmission and distribution stated Private importers will be charged all import duty including vat, SD and CD as applicable. Since Petrobangla is exempted on import duty, it should be applicable for Private importer to keep the price as competitive as local end users price and as a support to private sector to survive.
- Wheeling Charge in Distribution network: The wheeling charge of private sector LNG importer will be determined higher by Petrobangla due to use of Transmission and distribution network of Gas supply in Bangladesh.
The Wheeling charge should not be higher than that of State owned Distribution companies to keep the Gas tariff competitive and affordable of end users. Therefore profit making by Government agencies may challenge Private sector entrepreneurs and importers.
- Section 7- Re-gasified LNG sale and distribution allows Private sector LNG importer to sell 25% of maximum of its import to Petrobangla upon meeting importer’s own demand. And, the tariff will be determined by Petrobangla. The tariff needs to be determined by market factors of demand and supply. Private sector LNG procurement tariff needs to be settled through negotiation rather than imposition on Private sector as it may cause cost burden on them.
- LNG Import process: Private sector LNG terminal, with all necessary regasification and storage infrastructure, owner can be allowed to import to LNG with prior approval of LNG specification by Petrobangla each year. We feel once Private sector is allowed to import subject to available Gas terminal infrastructure and this No Objection Certificate (NOC) should be given once for a certain period and NOC should not be renewed each year as renewal process is hectic rather a Petrobangla Engineering team can make yearly routine check the technological soundness of terminal.
- There will be international standard, code and norms to be followed along with the given policy in order to supporting this new policy. The relevant standard, code and norms need to be well-defined in this regard.
- Government has allowed many private sector companies to produce electricity under PPA but most of them remain idle and inert as due to shortage of gas supply, the local power producers cannot function which add cost burden with Government.
- The Policy should have also provision of import regasification and supply facility to national grid rather than factory and individual small scale usage so that Government can also buy the gas from them.
It is worth mentioning that local private investment and foreign investment in manufacturing industry looks downward in recent years due to grave concern of primary energy supply. Due to incremental industrialization spree, our industry demand may reach 3600 MMCFD though national demand may reach 10,000 MMCFD by 2040. If gas demand compounded each year then country will end up with extreme import dependence since local supply is getting slim and foreign explorers are planning to leave Bangladesh. If this current trend gas exploration continues, the proportion of imported gas and local gas will be almost same.
Government is required to consider some important issues prior to allowing Private sector to import the LNG which are as follows to make the LNG import friendly for private sector:
- Local gas transmission and distribution need to be improved in line with growing need of LNG in Bangladesh.
- Since our existing countrywide gas network is conventionally designed with conventional distribution companies that hardly manages the new gas requirement, therefore, Petrobangla backed LNG is being distributed through existing network with extension from Matarbari.
- New Gas line with large diameter has been set up in Matarbari which is controlled by Government. But, private sector is to be engaged and had no experience in working on this large distribution and transmission network. In power sector, private sector has no experience in T&D work in power sector so it is not high time to allow the private sector to work. On the other hand, so many small LNG importers for operating their factory may find it uncomfortable to manage their own distribution path and facility for feeding LNG.
- The LNG import may be done by several importers but it should be mixed and passed through the central and proven gas distribution network but for storage facility of LNG different land terminals may be set up.
- Small amount of LNG import may not be cost wise feasible if own infrastructure is required for storage and distribution from Chittagong since LNG is not as smooth as LPG in transportation and there is no proven technology and supply chain system in distribution of LNG across the country.
- Since FSRU is not cost wise sustainable, private sector should be encouraged to set up the land based storage and regasification terminal.
- Government can make Gas Supply Agreement likewise Power purchase agreement with Private sector LNG importer which will allow private sector to have secure buyer and the terms of but terms and conditions should be flexible so that Government remains safe from cost burden.
-- Calculated crystals, as found in the file --
[1]
Ba3BP3O12, optimized geometry, DFT PBE; symmetry = No. 73; energy of formation from the pure elements = -3.177 eV per atom; density = 3.989 g/cm3; total DFT energy (no corrections) = -7.38 eV per atom; crystal system = orthorhombic
1.0
-3.5975 7.2393 11.3107
3.5975 -7.2393 11.3107
3.5975 7.2393 -11.3107
O B P Ba
48 4 12 12
Cartesian
0.3936 6.1164 4.7396 O
1.9491 0.7452 14.0716 O
5.2459 0.7452 2.7609 O
-1.6484 6.4942 8.5498 O
1.9491 7.9846 8.5498 O
0.3936 1.1230 16.0503 O
0.7147 8.9186 0.6378 O
4.8244 3.6409 -1.0375 O
2.1269 4.3330 4.0744 O
1.2269 3.5985 1.0375 O
-1.2269 3.5985 12.3481 O
1.9491 6.4942 2.7609 O
3.2039 6.1164 -4.7396 O
1.6484 -0.7452 2.7609 O
-0.0098 2.3887 2.6536 O
2.8828 -1.6792 10.6729 O
2.8828 1.6792 0.6378 O
-0.0098 4.8507 13.9642 O
3.9911 6.1164 6.5711 O
3.5877 4.8507 -2.6536 O
2.3706 3.5985 -1.0375 O
1.6484 6.4941 -2.7609 O
2.3706 -3.5985 12.3481 O
5.7244 2.9064 -4.0744 O
0.7147 5.5601 10.6729 O
-2.1269 4.3330 15.3851 O
3.2039 1.1230 6.5711 O
2.8828 5.5601 11.9485 O
-1.4706 4.3330 7.2363 O
3.6073 4.8507 8.6571 O
2.3706 3.6409 10.2732 O
2.1269 2.9064 15.3851 O
3.5877 2.3887 8.6571 O
3.6073 2.3887 -2.6536 O
0.0098 2.3887 13.9642 O
0.3936 8.3623 6.5711 O
1.4706 2.9063 7.2363 O
1.6484 0.7452 8.5498 O
0.0098 4.8507 2.6536 O
-0.3936 1.1230 4.7396 O
1.4706 4.3330 -4.0744 O
1.2269 10.8378 -1.0375 O
3.2039 -1.1230 4.7396 O
4.3122 5.5601 0.6378 O
1.2269 3.6409 12.3481 O
0.7147 1.6792 -0.6378 O
-0.7147 1.6792 10.6729 O
5.0681 2.9063 4.0744 O
0.0000 3.6197 1.8739 B
0.0000 3.6197 13.1846 B
3.5975 3.6197 -1.8739 B
3.5975 3.6197 9.4368 B
2.4139 5.4439 -3.6033 P
1.1836 5.4439 3.6033 P
1.7987 -2.5443 11.3107 P
2.4139 -1.7954 3.6033 P
1.7987 9.7837 0.0000 P
6.0114 1.7954 3.6033 P
-2.4139 5.4439 7.7074 P
2.4139 1.7954 7.7074 P
1.1836 1.7954 14.9140 P
1.1836 9.0348 7.7074 P
1.7987 2.5443 0.0000 P
1.7987 4.6950 11.3107 P
1.0836 5.6037 7.3304 Ba
1.7987 1.0035 11.3107 Ba
1.0836 -1.6357 15.2909 Ba
2.5139 1.6357 3.9802 Ba
2.5139 -1.6357 7.3304 Ba
2.5139 8.8750 -3.9802 Ba
-1.7987 6.2358 11.3107 Ba
5.3962 1.0035 0.0000 Ba
1.7987 6.2358 0.0000 Ba
1.0836 8.8750 3.9802 Ba
1.0836 1.6357 18.6411 Ba
2.5139 5.6037 -7.3304 Ba

=====

[2]
Ba3ScB3O9, optimized geometry, DFT PBE; symmetry = No. 185; energy of formation from the pure elements = -3.282 eV per atom; density = 4.710 g/cm3; total DFT energy (no corrections) = -7.69 eV per atom; crystal system = hexagonal
1.0
4.6815 -8.1086 0.0000
4.6815 8.1086 0.0000
0.0000 0.0000 17.6488
O B Ba Sc
54 18 18 6
Cartesian
1.6833 0.0000 6.3179 O
7.1094 -1.4928 9.3511 O
5.6022 -1.2064 14.8967 O
5.5669 -4.1571 3.5669 O
3.8459 -4.2484 6.0723 O
7.6796 0.0000 15.1423 O
2.4196 1.2052 9.3511 O
3.7894 6.5634 12.6454 O
1.7842 0.0000 12.6454 O
5.5171 -4.2484 14.8967 O
3.7608 1.2064 6.0723 O
6.4378 2.6537 6.0723 O
3.7894 -6.5634 12.6454 O
3.8648 1.2089 12.3913 O
2.4285 -4.2062 9.3418 O
4.5060 0.0000 9.3418 O
2.9252 -2.6537 14.8967 O
4.8569 0.0000 0.5174 O
2.4196 -1.2052 9.3511 O
7.1094 1.4928 9.3511 O
3.7608 -1.2064 6.0723 O
-- Here the text continues --
- The existing tariff or Total Tax Incidence (TTI) on Liquefied petroleum/Gas and LPG import is 5% apart from local supply stage SD and Vat. Once Private sector is allowed to import, this TTI needs to be waived to survive and remain competitive in terms of tariff compared with tariff charged by local distribution company. The new VAT &SD act 2012 also adds 100% SD on natural gas importer too in Finance bill 2019.
Due to blend of expensive LNG import and local gas, the recent gas tariff hike made industry gas tariff expensive at 28.63 Cent per cubic meter and $8.05 per MCF and this tariff hike also makes Bangladesh uncompetitive in gas tariff against our competing countries India, Indonesia, Pakistan and Vietnam which spurs cost of doing business too.
Considering all aforesaid challenges, Private sector may be allowed to set up the import port and regasification terminal with storage to supply or sell to Petrobangla as this fuel cannot be used like HFO, Diesel or Octane right now in Bangladesh. Until having all facilities and proven experience, capacity of LNG use in power sector and industry in Bangladesh, private sector may face challenge in LNG import. And, the LNG import policy needs to be fixed considering all aforesaid issues. We must work of building capacity and efficiency in LNG, LPG fuel usage and technology management. Both Public and Private sector need to work together to ensure energy security accordingly private sector should be capacity needs consideration in this policy. Therefore, a coordinated inter-agency approach needs to be fixed through coordinated effort and consultation of policy leaders and relevant stakeholders of energy sector to fuel the smooth industrial growth resulting into industry led economic growth in the years to come.
The vision of being a Developing Country by 2024 followed by Developed Country by 2041 will be facilitated through energy security and this proposed policy may be useful in this regard. To ensure the economic paradigm shift envisioned by 2041, it is the high time to work on national agenda of integrated primary energy policy including LNG and LPG.